[Brief]
Set down the whole of the contents further below character by character.
[File]
____________
Record 1
C45H45F5N10ORbS3Sb2Te | ωB97M-V with the def2-TZVPD basis set

XYZ file:
```
113
Properties=species:S:1:pos:R:3:mulliken_charge:R:1
Rb -0.69218 -1.21916 -0.49846 0.5612
C 2.50776 0.07075 3.62106 -0.6897
C 1.51627 0.19212 2.65843 -0.5244
N 1.79642 0.26918 1.36486 0.8685
C 3.08293 0.21181 1.01200 0.2778
C 4.07072 0.13720 1.99460 -0.4119
N 3.79729 0.06724 3.29129 -0.7036
C 3.39409 0.22556 -0.43617 -0.2846
C 4.67212 0.51772 -0.89498 -0.0928
C 4.96934 0.46207 -2.25522 1.1519
C 3.90444 0.13321 -3.09414 -0.6795
C 2.65181 -0.13903 -2.56026 -0.3881
N 2.38894 -0.08934 -1.25536 0.1957
C 1.55742 -0.58706 -3.45384 0.5249
C 1.44327 -0.15006 -4.77311 -0.1943
N 0.51387 -0.60507 -5.60200 -0.7196
C -0.32846 -1.50974 -5.10453 -0.6328
C -0.25087 -1.92635 -3.78384 -0.1236
N 0.68602 -1.47108 -2.96094 -0.4942
C 6.33317 0.67251 -2.76236 0.9672
C 7.38107 1.11426 -1.94620 -0.4569
C 8.65695 1.23821 -2.45855 -0.4302
N 8.99367 0.96929 -3.71938 -0.6622
C 7.99490 0.57206 -4.50720 -0.3847
C 6.68828 0.41435 -4.09164 -0.6189
H 2.27166 -0.00930 4.67390 0.4880
H 0.47232 0.23864 2.94219 0.6416
H 5.12560 0.11282 1.74183 0.4176
H 5.44392 0.79185 -0.19293 -0.0148
H 4.04624 0.06140 -4.16180 0.3436
H 2.11493 0.60134 -5.17617 0.4487
H -1.08570 -1.89498 -5.77496 0.4327
H -0.94968 -2.65326 -3.37533 0.5212
H 7.21158 1.37076 -0.91007 0.2785
H 9.47016 1.57233 -1.82272 0.3812
H 8.26885 0.36330 -5.53604 0.3768
H 5.95307 0.07530 -4.80667 0.3215
S -3.98743 -3.53179 2.64366 -0.5165
Sb -2.46856 -1.69147 2.92475 0.9942
S -0.33547 -2.37801 3.27103 -0.6056
S -3.27924 0.12289 4.00284 -0.7007
C -2.74324 2.37925 -1.08534 -0.1587
N -2.60975 1.18939 -1.92385 0.3681
C -1.90013 1.55761 -3.14348 0.2649
N -2.58712 2.61974 -3.89077 0.1601
C -2.72926 3.77776 -3.00210 -0.4759
N -3.45699 3.46168 -1.77688 0.3852
C -4.78100 2.95402 -2.15401 -0.8006
N -4.69829 1.77582 -3.01554 0.1366
C -3.95981 0.72818 -2.28419 -0.8597
C -3.93577 2.12984 -4.20785 -0.7174
H -1.75132 2.74109 -0.79794 -0.7157
H -3.29313 2.11218 -0.18085 0.6250
H -1.81456 0.67712 -3.78632 0.0929
H -0.89233 1.90603 -2.89044 -0.6005
H -3.27024 4.56155 -3.54193 0.3854
H -1.73604 4.15491 -2.73876 -0.0959
H -5.32425 3.74717 -2.67853 0.3399
H -5.32725 2.68813 -1.24735 0.4335
H -3.88545 -0.16737 -2.90058 0.1444
H -4.50315 0.46319 -1.37839 0.3945
H -4.46903 2.90976 -4.76119 0.3625
H -3.84369 1.24453 -4.84170 0.3075
C -1.68163 3.52661 2.83262 -1.5713
C -1.72443 4.50440 1.68648 0.6103
C -2.85873 5.28665 1.48682 -0.8236
C -2.93304 6.19631 0.44336 -0.6834
C -1.86667 6.33370 -0.42800 -0.9854
C -0.73109 5.55783 -0.24474 -0.5340
C -0.64460 4.65012 0.80493 0.9911
Sb 1.12779 3.46254 1.22271 1.0152
C 1.97232 5.17000 2.32172 0.5934
C 1.88658 6.45197 1.78935 -0.3716
C 2.34836 7.55800 2.48841 -0.9525
C 2.91018 7.38471 3.74358 -0.6221
C 3.01147 6.10965 4.27828 -0.7980
C 2.54762 4.99342 3.58479 0.5038
C 2.68659 3.62644 4.20360 -0.9670
C 2.16560 3.81906 -0.63936 0.1157
C 1.43116 3.67549 -1.81506 0.4577
C 2.02258 3.80807 -3.06231 -0.6496
C 3.38064 4.07679 -3.14264 -1.1248
C 4.13208 4.16433 -1.98031 -0.4078
C 3.54830 4.01809 -0.72259 0.8359
C 4.42408 4.04304 0.50356 -1.6882
H -2.56949 3.60444 3.45608 0.5307
H -0.80565 3.70621 3.46447 0.0835
H -1.63446 2.49480 2.47459 0.3593
H -3.69851 5.17474 2.16281 0.4093
H -3.82706 6.79297 0.30917 0.3726
H -1.91705 7.03894 -1.24934 0.4132
H 0.09520 5.66774 -0.93761 0.4925
H 1.45633 6.59002 0.80510 0.3657
H 2.26599 8.54915 2.05846 0.4246
H 3.27216 8.23625 4.30736 0.3710
H 3.45473 5.97467 5.25917 0.3655
H 3.07009 3.69524 5.22140 0.4936
H 3.37780 3.00406 3.62939 0.1540
H 1.72802 3.10499 4.22901 0.0995
H 0.37277 3.44148 -1.75763 -0.2444
H 1.42551 3.69770 -3.96013 0.5734
H 3.85698 4.19728 -4.10835 0.3849
H 5.20185 4.33573 -2.04807 0.3832
H 5.46419 3.85597 0.23140 0.4077
H 4.11171 3.27250 1.21388 0.1088
H 4.36850 5.00694 1.01274 0.3406
F -4.56633 -4.31953 -0.42726 -0.5089
Te -3.71028 -2.66019 0.31190 1.9140
F -2.04417 -3.88829 0.59735 -0.5613
F -2.51475 -2.66354 -1.36819 -0.5787
F -5.48672 -1.86933 0.97708 -0.5988
____________
[Reply]
Record 1
C45H45F5N10ORbS3Sb2Te | ωB97M-V with the def2-TZVPD basis set

XYZ file:
```
113
Properties=species:S:1:pos:R:3:mulliken_charge:R:1
Rb -0.69218 -1.21916 -0.49846 0.5612
C 2.50776 0.07075 3.62106 -0.6897
C 1.51627 0.19212 2.65843 -0.5244
N 1.79642 0.26918 1.36486 0.8685
C 3.08293 0.21181 1.01200 0.2778
C 4.07072 0.13720 1.99460 -0.4119
N 3.79729 0.06724 3.29129 -0.7036
C 3.39409 0.22556 -0.43617 -0.2846
C 4.67212 0.51772 -0.89498 -0.0928
C 4.96934 0.46207 -2.25522 1.1519
C 3.90444 0.13321 -3.09414 -0.6795
C 2.65181 -0.13903 -2.56026 -0.3881
N 2.38894 -0.08934 -1.25536 0.1957
C 1.55742 -0.58706 -3.45384 0.5249
C 1.44327 -0.15006 -4.77311 -0.1943
N 0.51387 -0.60507 -5.60200 -0.7196
C -0.32846 -1.50974 -5.10453 -0.6328
C -0.25087 -1.92635 -3.78384 -0.1236
N 0.68602 -1.47108 -2.96094 -0.4942
C 6.33317 0.67251 -2.76236 0.9672
C 7.38107 1.11426 -1.94620 -0.4569
C 8.65695 1.23821 -2.45855 -0.4302
N 8.99367 0.96929 -3.71938 -0.6622
C 7.99490 0.57206 -4.50720 -0.3847
C 6.68828 0.41435 -4.09164 -0.6189
H 2.27166 -0.00930 4.67390 0.4880
H 0.47232 0.23864 2.94219 0.6416
H 5.12560 0.11282 1.74183 0.4176
H 5.44392 0.79185 -0.19293 -0.0148
H 4.04624 0.06140 -4.16180 0.3436
H 2.11493 0.60134 -5.17617 0.4487
H -1.08570 -1.89498 -5.77496 0.4327
H -0.94968 -2.65326 -3.37533 0.5212
H 7.21158 1.37076 -0.91007 0.2785
H 9.47016 1.57233 -1.82272 0.3812
H 8.26885 0.36330 -5.53604 0.3768
H 5.95307 0.07530 -4.80667 0.3215
S -3.98743 -3.53179 2.64366 -0.5165
Sb -2.46856 -1.69147 2.92475 0.9942
S -0.33547 -2.37801 3.27103 -0.6056
S -3.27924 0.12289 4.00284 -0.7007
C -2.74324 2.37925 -1.08534 -0.1587
N -2.60975 1.18939 -1.92385 0.3681
C -1.90013 1.55761 -3.14348 0.2649
N -2.58712 2.61974 -3.89077 0.1601
C -2.72926 3.77776 -3.00210 -0.4759
N -3.45699 3.46168 -1.77688 0.3852
C -4.78100 2.95402 -2.15401 -0.8006
N -4.69829 1.77582 -3.01554 0.1366
C -3.95981 0.72818 -2.28419 -0.8597
C -3.93577 2.12984 -4.20785 -0.7174
H -1.75132 2.74109 -0.79794 -0.7157
H -3.29313 2.11218 -0.18085 0.6250
H -1.81456 0.67712 -3.78632 0.0929
H -0.89233 1.90603 -2.89044 -0.6005
H -3.27024 4.56155 -3.54193 0.3854
H -1.73604 4.15491 -2.73876 -0.0959
H -5.32425 3.74717 -2.67853 0.3399
H -5.32725 2.68813 -1.24735 0.4335
H -3.88545 -0.16737 -2.90058 0.1444
H -4.50315 0.46319 -1.37839 0.3945
H -4.46903 2.90976 -4.76119 0.3625
H -3.84369 1.24453 -4.84170 0.3075
C -1.68163 3.52661 2.83262 -1.5713
C -1.72443 4.50440 1.68648 0.6103
C -2.85873 5.28665 1.48682 -0.8236
C -2.93304 6.19631 0.44336 -0.6834
C -1.86667 6.33370 -0.42800 -0.9854
C -0.73109 5.55783 -0.24474 -0.5340
C -0.64460 4.65012 0.80493 0.9911
Sb 1.12779 3.46254 1.22271 1.0152
C 1.97232 5.17000 2.32172 0.5934
C 1.88658 6.45197 1.78935 -0.3716
C 2.34836 7.55800 2.48841 -0.9525
C 2.91018 7.38471 3.74358 -0.6221
C 3.01147 6.10965 4.27828 -0.7980
C 2.54762 4.99342 3.58479 0.5038
C 2.68659 3.62644 4.20360 -0.9670
C 2.16560 3.81906 -0.63936 0.1157
C 1.43116 3.67549 -1.81506 0.4577
C 2.02258 3.80807 -3.06231 -0.6496
C 3.38064 4.07679 -3.14264 -1.1248
C 4.13208 4.16433 -1.98031 -0.4078
C 3.54830 4.01809 -0.72259 0.8359
C 4.42408 4.04304 0.50356 -1.6882
H -2.56949 3.60444 3.45608 0.5307
H -0.80565 3.70621 3.46447 0.0835
H -1.63446 2.49480 2.47459 0.3593
H -3.69851 5.17474 2.16281 0.4093
H -3.82706 6.79297 0.30917 0.3726
H -1.91705 7.03894 -1.24934 0.4132
H 0.09520 5.66774 -0.93761 0.4925
H 1.45633 6.59002 0.80510 0.3657
H 2.26599 8.54915 2.05846 0.4246
H 3.27216 8.23625 4.30736 0.3710
H 3.45473 5.97467 5.25917 0.3655
H 3.07009 3.69524 5.22140 0.4936
H 3.37780 3.00406 3.62939 0.1540
H 1.72802 3.10499 4.22901 0.0995
H 0.37277 3.44148 -1.75763 -0.2444
H 1.42551 3.69770 -3.96013 0.5734
H 3.85698 4.19728 -4.10835 0.3849
H 5.20185 4.33573 -2.04807 0.3832
H 5.46419 3.85597 0.23140 0.4077
H 4.11171 3.27250 1.21388 0.1088
H 4.36850 5.00694 1.01274 0.3406
F -4.56633 -4.31953 -0.42726 -0.5089
Te -3.71028 -2.66019 0.31190 1.9140
F -2.04417 -3.88829 0.59735 -0.5613
F -2.51475 -2.66354 -1.36819 -0.5787
F -5.48672 -1.86933 0.97708 -0.5988